**File**
+++
ORCA calculation (ωB97M-V/def2-TZVPD) on a molecular structure, C4H9MgO4 in a non-equilibrium geometry.

As for the expectation value of S²: 0.757. The calculation puts the HOMO-LUMO gap (alpha / beta) at 8.087 / 5.264 eV. The value obtained for the molar mass is 145.42 g/mol. The net charge is 0. As for the calculated total energy: -658.7313 hartree. Its spin multiplicity is 2.

Each line ends with the Mulliken charge.
Element x y z (Å)
C: -2.3501 -1.5140 -1.0140  -0.6489
O: -1.0596 -1.0386 -1.2823  -0.4474
H: -2.6978 -2.0232 -1.9240  0.2308
H: -2.3235 -2.2306 -0.1789  0.2678
H: -3.0222 -0.6790 -0.7634  0.2694
O: 3.4355 0.8730 0.5461  -0.7771
O: 0.0842 2.3194 -0.3526  -0.7152
C: -0.8907 1.4299 -0.2333  -0.0461
C: -0.2250 -0.1245 -0.2287  -0.2766
O: 1.4020 0.2491 1.3803  -0.5531
C: 2.7577 -0.1344 1.2225  0.1244
Mg: 1.8415 1.9455 0.4150  0.9929
H: -1.5869 1.4009 -1.0884  0.2990
H: -1.4334 1.4447 0.7315  0.2131
H: 0.6758 0.0041 -0.8447  0.1766
H: -0.6047 -0.5219 0.7298  0.3265
H: 3.1996 -0.3086 2.2293  0.2988
H: 2.7978 -1.0921 0.6557  0.2650


ORCA calculation (ωB97M-V/def2-TZVPD) on a molecular structure, C22H45HfN2P3SSe in a non-equilibrium geometry.

The calculation puts the HOMO-LUMO gap (alpha / beta) at 3.689 / 3.947 eV. The value obtained for the molar mass is 720.06 g/mol. The net charge is +4. As for the calculated total energy: -4844.8953 hartree.

Each line ends with the Mulliken charge.
Element x y z (Å)
Hf: -0.3992 0.3784 -0.2313  -0.7914
P: 1.0446 -1.9680 0.2566  0.9151
P: 0.2719 0.7633 2.3479  1.2384
P: 0.1843 -0.5047 -2.6651  1.1526
H: 0.5227 6.3935 -1.4309  0.3310
C: 0.1029 5.7632 -2.2288  -0.2668
C: -1.1207 5.2401 -2.0890  -0.7659
H: -1.7655 5.6007 -1.3001  0.3868
C: 2.8742 -1.8851 0.1172  -1.2268
C: 0.9233 -2.8311 1.8771  -0.9317
C: 0.7614 -3.4902 -0.7249  -1.1515
C: -0.3592 2.3179 3.0985  -1.1987
C: -0.0378 -0.3030 3.8144  -1.2477
C: 2.1108 0.9106 2.4483  -1.3627
C: -0.1787 0.8040 -3.9144  -1.3078
C: -0.6172 -1.9106 -3.5370  -1.3477
C: 1.9488 -0.8248 -3.0660  -1.4113
H: 0.6761 5.7579 -3.1651  0.3310
H: -1.6158 4.6527 -2.8553  0.4863
H: 3.3202 -2.8726 0.2949  0.4353
H: 3.2948 -1.1754 0.8329  0.3218
H: 3.1499 -1.5530 -0.8847  0.3059
H: 1.2911 -3.8613 1.8258  0.6120
H: -0.1237 -2.8719 2.1902  -0.1914
H: 1.5262 -2.3089 2.6216  0.5213
H: 1.2178 -4.3368 -0.2012  0.6007
H: 1.1959 -3.4381 -1.7237  0.4582
H: -0.3095 -3.6880 -0.8020  0.0642
H: -0.5024 2.2366 4.1878  0.5178
H: -1.3278 2.5395 2.6388  0.3473
H: 0.3241 3.1436 2.8771  0.3132
H: 0.5824 0.0240 4.6612  0.5464
H: 0.2201 -1.3316 3.5713  0.1364
H: -1.0948 -0.2610 4.0999  0.4891
H: 2.3381 1.5124 3.3410  0.5203
H: 2.5199 1.3965 1.5499  0.2561
H: 2.5833 -0.0786 2.5544  0.3944
H: 0.2298 0.5227 -4.8933  0.5702
H: 0.1887 1.7968 -3.6317  0.2723
H: -1.2677 0.8784 -3.9937  0.4204
H: -0.3107 -1.9470 -4.5896  0.5566
H: -1.7020 -1.7932 -3.4823  0.3648
H: -0.3309 -2.8355 -3.0362  0.3983
H: 2.0827 -0.6668 -4.1474  0.5424
H: 2.3297 -1.8269 -2.8153  0.4610
H: 2.5562 -0.0937 -2.5197  0.3471
C: 0.3123 3.4179 -0.5798  0.8478
C: 1.5680 3.2405 -1.2033  0.3190
C: 2.6723 3.9034 -0.6540  -0.8755
C: 2.5074 4.8517 0.3553  -0.5321
C: 1.2616 5.0017 0.9877  -0.6856
C: 0.1536 4.3837 0.4500  -0.8218
S: -1.1279 2.6961 -1.1832  -0.0759
H: 1.1362 1.0886 -0.6977  0.2404
H: 1.6532 2.7041 -2.1572  0.3000
H: 3.6737 3.6652 -1.0292  0.5666
H: 3.3330 5.4842 0.6657  0.5723
H: 1.1383 5.6129 1.8774  0.5909
H: -0.8713 4.6409 0.7369  0.4888
C: -3.2522 -3.3047 -1.5252  -0.8932
N: -3.0126 -3.5380 -0.1044  0.1897
C: -2.9738 -4.7821 0.5247  -0.4954
C: -2.7961 -4.5461 1.8456  -0.4597
N: -2.7408 -3.1676 2.0186  0.2162
C: -2.6744 -2.4879 3.2985  -0.9200
C: -2.8139 -2.5469 0.8034  0.1554
Se: -2.7426 -0.6989 0.4390  -0.1756
H: -4.0336 -3.9940 -1.8762  0.4160
H: -2.3339 -3.4877 -2.1237  0.2216
H: -3.5572 -2.2566 -1.6397  0.3352
H: -3.0776 -5.7001 -0.0354  0.5354
H: -2.7112 -5.2224 2.6748  0.5446
H: -3.5055 -2.8140 3.9242  0.4399
H: -1.7386 -2.7056 3.8200  0.3668
H: -2.7545 -1.4132 3.1090  0.1750
+++
**What to do**
Next, find the line earlier on that holds "0.7315", then quote that line and all lines after it there.
**Worked solution**
H: -1.4334 1.4447 0.7315  0.2131
H: 0.6758 0.0041 -0.8447  0.1766
H: -0.6047 -0.5219 0.7298  0.3265
H: 3.1996 -0.3086 2.2293  0.2988
H: 2.7978 -1.0921 0.6557  0.2650


ORCA calculation (ωB97M-V/def2-TZVPD) on a molecular structure, C22H45HfN2P3SSe in a non-equilibrium geometry.

The calculation puts the HOMO-LUMO gap (alpha / beta) at 3.689 / 3.947 eV. The value obtained for the molar mass is 720.06 g/mol. The net charge is +4. As for the calculated total energy: -4844.8953 hartree.

Each line ends with the Mulliken charge.
Element x y z (Å)
Hf: -0.3992 0.3784 -0.2313  -0.7914
P: 1.0446 -1.9680 0.2566  0.9151
P: 0.2719 0.7633 2.3479  1.2384
P: 0.1843 -0.5047 -2.6651  1.1526
H: 0.5227 6.3935 -1.4309  0.3310
C: 0.1029 5.7632 -2.2288  -0.2668
C: -1.1207 5.2401 -2.0890  -0.7659
H: -1.7655 5.6007 -1.3001  0.3868
C: 2.8742 -1.8851 0.1172  -1.2268
C: 0.9233 -2.8311 1.8771  -0.9317
C: 0.7614 -3.4902 -0.7249  -1.1515
C: -0.3592 2.3179 3.0985  -1.1987
C: -0.0378 -0.3030 3.8144  -1.2477
C: 2.1108 0.9106 2.4483  -1.3627
C: -0.1787 0.8040 -3.9144  -1.3078
C: -0.6172 -1.9106 -3.5370  -1.3477
C: 1.9488 -0.8248 -3.0660  -1.4113
H: 0.6761 5.7579 -3.1651  0.3310
H: -1.6158 4.6527 -2.8553  0.4863
H: 3.3202 -2.8726 0.2949  0.4353
H: 3.2948 -1.1754 0.8329  0.3218
H: 3.1499 -1.5530 -0.8847  0.3059
H: 1.2911 -3.8613 1.8258  0.6120
H: -0.1237 -2.8719 2.1902  -0.1914
H: 1.5262 -2.3089 2.6216  0.5213
H: 1.2178 -4.3368 -0.2012  0.6007
H: 1.1959 -3.4381 -1.7237  0.4582
H: -0.3095 -3.6880 -0.8020  0.0642
H: -0.5024 2.2366 4.1878  0.5178
H: -1.3278 2.5395 2.6388  0.3473
H: 0.3241 3.1436 2.8771  0.3132
H: 0.5824 0.0240 4.6612  0.5464
H: 0.2201 -1.3316 3.5713  0.1364
H: -1.0948 -0.2610 4.0999  0.4891
H: 2.3381 1.5124 3.3410  0.5203
H: 2.5199 1.3965 1.5499  0.2561
H: 2.5833 -0.0786 2.5544  0.3944
H: 0.2298 0.5227 -4.8933  0.5702
H: 0.1887 1.7968 -3.6317  0.2723
H: -1.2677 0.8784 -3.9937  0.4204
H: -0.3107 -1.9470 -4.5896  0.5566
H: -1.7020 -1.7932 -3.4823  0.3648
H: -0.3309 -2.8355 -3.0362  0.3983
H: 2.0827 -0.6668 -4.1474  0.5424
H: 2.3297 -1.8269 -2.8153  0.4610
H: 2.5562 -0.0937 -2.5197  0.3471
C: 0.3123 3.4179 -0.5798  0.8478
C: 1.5680 3.2405 -1.2033  0.3190
C: 2.6723 3.9034 -0.6540  -0.8755
C: 2.5074 4.8517 0.3553  -0.5321
C: 1.2616 5.0017 0.9877  -0.6856
C: 0.1536 4.3837 0.4500  -0.8218
S: -1.1279 2.6961 -1.1832  -0.0759
H: 1.1362 1.0886 -0.6977  0.2404
H: 1.6532 2.7041 -2.1572  0.3000
H: 3.6737 3.6652 -1.0292  0.5666
H: 3.3330 5.4842 0.6657  0.5723
H: 1.1383 5.6129 1.8774  0.5909
H: -0.8713 4.6409 0.7369  0.4888
C: -3.2522 -3.3047 -1.5252  -0.8932
N: -3.0126 -3.5380 -0.1044  0.1897
C: -2.9738 -4.7821 0.5247  -0.4954
C: -2.7961 -4.5461 1.8456  -0.4597
N: -2.7408 -3.1676 2.0186  0.2162
C: -2.6744 -2.4879 3.2985  -0.9200
C: -2.8139 -2.5469 0.8034  0.1554
Se: -2.7426 -0.6989 0.4390  -0.1756
H: -4.0336 -3.9940 -1.8762  0.4160
H: -2.3339 -3.4877 -2.1237  0.2216
H: -3.5572 -2.2566 -1.6397  0.3352
H: -3.0776 -5.7001 -0.0354  0.5354
H: -2.7112 -5.2224 2.6748  0.5446
H: -3.5055 -2.8140 3.9242  0.4399
H: -1.7386 -2.7056 3.8200  0.3668
H: -2.7545 -1.4132 3.1090  0.1750